Cannot configure/use Danfoss Living Connect radiator thermostat

I’m using HA 0.57.2 on an Olimex Olinuxino A20 with Raspbian Stretch as OS.
I installed HA with pip in a virtualenv (like described on the HA Wiki).
For the zwave part, I use a usb stick Z-wave ZME UZB1.

The stick is seen in HA, when I try to pair securely, a new device is found but it always statys in "Sleeping(Probe) " state.
I tested various method (unpair/pair – factory reset – wiat all the night – test mode – heal network – restart network ) nothing works.
In test mode (from the Danfoss LC) the device wake up in HA and says “Vanne du salon changed to ManufacturerSpecific1” where “Vanne du salon” is the name that I gave to the device…and then goes in “Sleeping (Probe)” again.

It’s the only thing zwave in my home. I’m a bit lost with my first attempt at zwave things. I need help.

Hey D-Fence,

Did you solve the issue (and how)?


No, I was not able to make it work.
It’s really frustrating.
Here is what I did since my last post:

  • I let the nano computer running day and night (in the hope that the device wake up during the night and finish its configuration)
  • I powered the nano computer with a real power supply instead of an usb OTG (in the hope the the problem was the USB device that needed more power)
  • I put the nano computer really near the zwave device (I read somewhere that sometimes, it needs to be really near during network discovery)
  • I also tested without security key (the whole thing, I mean exclude/reset/include/heal)
  • Finally, I tested with other software (Openhab and Domoticz)

Nothing worked but Openhab went a step further, it recognized the device but was not able to change the desired temperature.

Here is an update of my findings.
Finally, HomeAssistant has nothing to do with the problem, nor openzwave.

The problem is DANFOSS !
I bought an LC13 and was confident that it would work out of the box…
but Danfoss does not want you to be free, so they made a new model that does not use the Z-wave standard but a proprietary version … that way, you cannot control it freely, you need to buy more Danfoss stuff that let them enter your home …

So, I stop my angry stuffs, the facts:
As stated here :
there are three version of the same product and one of them does not use z-wave standards.
Here are the model numbers, for reference for other users. The model number is only found on the box of the LC13 ! Nowhere else.
014G0002 : Non standard z-wave … don’t buy that, it only works with other Danfoss products PROPRIETARY !
014G0012 : Z-wave OK
014G0013: Z-wave OK and optimized

So, I’ll try to get a updated from Danfoss … If it does not work, I’ll change and never by DANFOSS again

I have no Danfoss but the “devolo Home Control Radiator Thermostat” which seems to be a modified version of the Danfoss.

Here the article breaks off for records of crystals.
┌──
First-principles (PBE) data for an optimized crystal structure of Pr2HoMg3AgHg2, as listed in the Open Quantum Materials Database.

Values from the calculation:
For the total moment, the calculation gives 0.00 μB per atom. The total energy is -0.2075 Ry per atom.

a = 4.256 Å, b = 7.920 Å, c = 7.920 Å
α = 120.02°, β = 90.00°, γ = 90.00°
Atoms (fractional coordinates):
Pr1 0.000 0.205 0.795
Pr2 0.000 0.795 0.205
Ho1 0.000 0.613 0.613
Mg1 0.500 0.210 0.448
Mg2 0.500 0.448 0.210
Mg3 0.500 0.962 0.962
Ag1 0.000 0.212 0.212
Hg1 0.500 0.542 0.863
Hg2 0.500 0.863 0.542
└──

On Hassbian it worked well! Since moving to it won’t be possible to be added in the z-wave manager screen in